Computer & Communication Industry Association


The Future of an EU-Wide Ancillary Copyright for Press Publishers Remains Uncertain

Brussels, BELGIUM -- Discussions around a possible ‘snippet levy’ or ‘news aggregation tax’ targeting online services like search engines and news aggregators have slowly but surely reached Br...

European Council Presidency Transfers To Luxembourg With Key Digital Economy Issues Looming

Brussels, Belgium -- Luxembourg takes over the rotating Presidency of the Council of the European Union today (Wednesday) at a crucial moment. After a meeting with outgoing European Council President ...
  • Telecom

EU Policymakers Agree On Net Neutrality Compromise

Brussels, Belgium -- The European Parliament, Commission and the Council of Ministers agreed on a compromise last night on the Telecoms Single Market Regulation. The deal in principle would see an end...
  • Blog
  • Patent Reform & Copyright

CCIA Files Copyright Amicus Briefs

Last week, CCIA filed two amicus briefs in copyright cases: Mavrix v. LiveJournal, a 9th Cir. case about the DMCA safe harbors, and Elsevier v. Sci-Hub, an S.D.N.Y. copyright case involving proposed p...
  • EU
  • Privacy & Security

Industry Asks Senate To Pass Bill Extending Rights in Privacy Act To Europeans, Others

Washington -- In a letter to Senate leaders Thursday, representatives of U.S. industry asked Senate leadership to support the Judicial Redress Act, S. 1600, which was introduced last week by Senators ...
  • EU
  • Taxes & Trade

The New EU Trade Strategy Should Break Down Telecoms Access Barriers

Brussels - The European Commission is set to present its new Trade Strategy this autumn and the removal of digital trade barriers is expected to feature prominently.  As part of the strategy, the EU...

CCIA Welcomes Appointment Of Roberto Viola As New Director-General

Unrelated to this article: records of crystals:
Diffraction record for CaAc3S4. The powder diffractogram is calculated, not measured: it uses a structure optimized by DFT (GGA-PBE) and copper Kα.
Peak positions follow from Bragg's law for the DFT cell and can differ from measured ones.

The 12 most intense peaks (10 to 80 degrees two-theta), by intensity:
| d_spacing | I_rel | hkl |
| --- | --- | --- |
| 3.005 | 1000 | 1 2 1 |
| 3.473 | 654 | 2 0 0 |
| 2.128 | 375 | 2 0 2 |
| 2.122 | 372 | 1 2 -3 |
| 1.811 | 268 | 3 2 -3 |
| 3.463 | 216 | 0 0 2 |
| 1.733 | 198 | 0 0 4 |
| 1.815 | 193 | 3 2 1 |
| 1.346 | 171 | 3 2 3 |
| 1.342 | 170 | 0 4 4 |
| 1.503 | 124 | 2 4 2 |
| 5.376 | 111 | 0 1 1 |

Structural model:
a = 7.3816 Å, b = 8.4945 Å, c = 7.3442 Å
α = 90.00°, β = 109.42°, γ = 90.00°
Atoms (fractional coordinates):
1 Ca 0.0000 0.1226 0.2500
2 Ca 0.0000 0.8774 0.7500
3 Ac 0.0000 0.3737 0.7500
4 Ac 0.0000 0.6263 0.2500
5 Ac 0.5000 0.1262 0.7500
6 Ac 0.5000 0.3767 0.2500
7 Ac 0.5000 0.6233 0.7500
8 Ac 0.5000 0.8738 0.2500
9 S 0.2362 0.1176 0.0021
10 S 0.2362 0.8824 0.5021
11 S 0.2412 0.3665 0.4900
12 S 0.2412 0.6335 0.9900
13 S 0.7588 0.3665 0.0100
14 S 0.7588 0.6335 0.5100
15 S 0.7638 0.1176 0.4979
16 S 0.7638 0.8824 0.9979

* * * * *

# Mg14MnCoO16
Simulated X-ray powder pattern, λ = 1.5418 Å (Cu Kα). Input: a crystal structure in Alexandria, relaxed with PBE+U.
Intensities are scaled so that the largest is 100.

Most intense lines, 10 to 90 degrees two-theta, low angle first:
Position (°2θ)	I/Imax	index
14.62	10	1 1 0
20.74	6	2 0 0
25.59	6	1 1 1
36.42	26	2 2 1
42.19	100	4 0 0
42.51	49	0 0 2
61.20	28	4 4 0
61.44	56	4 0 2
73.35	10	6 2 1
77.36	25	4 4 2

```
data_Mg14MnCoO16
_chemical_formula_sum 'Mg14 Mn1 Co1 O16'
_cell_length_a 8.567
_cell_length_b 8.567
_cell_length_c 4.253
_cell_angle_alpha 90.00
_cell_angle_beta 90.00
_cell_angle_gamma 90.00
_symmetry_space_group_name_H-M 'P 4/m m m'
_symmetry_Int_Tables_number 123
_symmetry_space_group_name_Hall '-P 4 2'
loop_
_atom_site_label
_atom_site_fract_x
_atom_site_fract_y
_atom_site_fract_z
Mg1 0.000 0.250 0.000
Mg2 0.000 0.500 0.500
Mg3 0.247 0.500 0.000
Mg4 0.248 0.248 0.500
Mn1 0.500 0.500 0.500
Co1 0.000 0.000 0.500
O1 0.000 0.000 0.000
O2 0.000 0.254 0.500
O3 0.000 0.500 0.000
O4 0.244 0.500 0.500
O5 0.250 0.250 0.000
O6 0.500 0.500 0.000
```

---

# MgMn4Co2O12
Simulated X-ray powder pattern, λ = 1.5418 Å (Cu Kα). Input: a crystal structure in Alexandria, relaxed with PBE+U.
Intensities are scaled so that the largest is 100.

Most intense lines, 10 to 90 degrees two-theta, low angle first:
Position (°2θ)	I/Imax	index
17.47	100	0 0 2
36.39	11	3 1 0
38.55	18	3 1 -2
40.39	15	0 2 2
42.57	7	3 1 -3
42.67	13	3 1 2
48.12	10	3 1 -4
51.44	11	0 2 4
55.02	7	3 1 4
65.13	9	3 3 0

```
data_MgMn4Co2O12
_chemical_formula_sum 'Mg2 Mn8 Co4 O24'
_cell_length_a 8.618
_cell_length_b 4.973
_cell_length_c 10.259
_cell_angle_alpha 90.00
_cell_angle_beta 98.23
_cell_angle_gamma 90.00
_symmetry_space_group_name_H-M 'C 1 2 1'
_symmetry_Int_Tables_number 5

Brussels -- The European Commission announced today that Roberto Viola will become the new Director-General of the European Commission’s Communications Networks, Content and Technology Directorate G...

Senate Introduces Bill to Extend Privacy Protections to European Citizens

Washington -- Just weeks after President Obama signed surveillance reform legislation, Senators Orrin Hatch (R-UT) and Chris Murphy (D-CT) have introduced what could prove to be the next step in the p...
  • Blog
  • Taxes & Trade

Rep. Chaffetz Introduces Latest Edition of Online Sales Tax Legislation

Entry 1:
Structure and computed powder XRD pattern of Cs3NbBr8 (a crystal structure in Alexandria, relaxed with GGA-PBE; CuKα).
Kinematic intensities with the Lorentz-polarization factor, no thermal factor.

Top 10 peaks for 10 to 90 degrees two-theta, in order of rising 2θ:
d (Å)  2theta  Rel. int.
4.223  21.04  53
3.400  26.21  100
3.324  26.82  42
3.119  28.62  29
2.968  30.11  46
2.875  31.10  29
2.696  33.23  72
2.368  38.00  28
1.826  49.93  32
1.796  50.83  23

Structural model:
Lattice parameters (Å, degrees): 10.7752 10.7752 9.9313 90.00 90.00 120.00
Atoms (fractional coordinates):
Cs 0.1524 0.3049 0.0000
Cs 0.1524 0.8476 0.0000
Cs 0.3049 0.1524 0.5000
Cs 0.6951 0.8476 0.0000
Cs 0.8476 0.1524 0.5000
Cs 0.8476 0.6951 0.5000
Nb 0.3333 0.6667 0.4515
Nb 0.6667 0.3333 0.9515
Br 0.0000 0.0000 0.2559
Br 0.0000 0.0000 0.7559
Br 0.1097 0.5549 0.3061
Br 0.2222 0.4443 0.6043
Br 0.2222 0.7778 0.6043
Br 0.3333 0.6667 0.9503
Br 0.4443 0.2222 0.1043
Br 0.4451 0.5549 0.3061
Br 0.4451 0.8903 0.3061
Br 0.5549 0.1097 0.8061
Br 0.5549 0.4451 0.8061
Br 0.5557 0.7778 0.6043
Br 0.6667 0.3333 0.4503
Br 0.7778 0.2222 0.1043
Br 0.7778 0.5557 0.1043
Br 0.8903 0.4451 0.8061


Entry 2:
Structure and computed powder XRD pattern of Sr2Cd16Sn (a crystal structure in Alexandria, relaxed with GGA-PBE; CuKα).
Kinematic intensities with the Lorentz-polarization factor, no thermal factor.

Top 10 peaks for 10 to 90 degrees two-theta, in order of rising 2θ:
d (Å)  2theta  Rel. int.
5.191  17.08  17
2.997  29.81  32
2.876  31.09  21
2.595  34.56  55
2.569  34.92  100
2.494  36.01  55
2.303  39.12  90
2.249  40.10  28
1.498  61.93  26
1.454  64.02  23

Structural model:
Lattice parameters (Å, degrees): 7.7992 7.7992 7.7992 83.45 83.45 83.45
Atoms (fractional coordinates):
Sr 0.0000 0.0000 0.0000
Sr 0.3286 0.3286 0.3286
Cd 0.0181 0.0181 0.4968
Cd 0.0181 0.4968 0.0181
Cd 0.1535 0.6716 0.6716
Cd 0.3090 0.3090 0.8323
Cd 0.3090 0.8323 0.3090
Cd 0.3593 0.6633 0.9705
Cd 0.3593 0.9705 0.6633
Cd 0.4968 0.0181 0.0181
Cd 0.6633 0.3593 0.9705
Cd 0.6633 0.9705 0.3593
Cd 0.6716 0.1535 0.6716
Cd 0.6716 0.6716 0.1535
Cd 0.7624 0.7624 0.7624
Cd 0.8323 0.3090 0.3090
Cd 0.9705 0.3593 0.6633
Cd 0.9705 0.6633 0.3593
Sn 0.5630 0.5630 0.5630


(1)
Starting from a structure optimized by DFT (GGA-PBE), the powder XRD pattern of PuPbO3 was simulated for λ = 1.5418 Å (Cu Kα).

Atomic structure:
Cell: 6.2526 6.2526 6.3485 Å, 90.00 90.00 120.00°
Space group P-6c2 (No. 188)
Inequivalent atoms, fractional coordinates:
Pu 0.0000 0.0000 0.0000 x2
Pb 0.3333 0.6667 0.0000 x2
O 0.0899 0.2910 0.2500 x6

The 12 most intense peaks (2θ = 15–90°), most intense first:
d/Å	2θ (°)	I_rel	(hkl)
5.415	16.37	100.0	1 0 0
3.126	28.55	84.3	1 1 0
2.227	40.50	78.5	1 1 2
2.738	32.70	28.2	1 0 2
1.569	58.86	25.5	3 0 2
3.174	28.11	24.4	0 0 2
2.060	43.96	20.0	2 0 2
1.805	50.57	19.3	3 0 0
1.107	88.24	17.6	4 1 2
1.415	66.01	17.0	1 1 4
1.402	66.70	16.3	2 2 2
1.720	53.25	16.2	2 1 2

(2)

Washington -- This week, Rep. Jason Chaffetz (R-Utah) introduced H.R. 2775, the Remote Transactions Parity Act (RTPA), the latest legislative incarnation to force online retailers to collect sales and...

European Court Rules Online News Sites Liable For Online Comments

Brussels -- The European Court of Human Rights has weighed in on the responsibility of news sites for user generated comments. It ruled that an Estonian news site Delfi could be held liable for commen...
  • EU
  • Patent Reform & Copyright

The Controversial Ancillary Copyright for Press Publishers Takes Two Big Hits

Brussels, BELGIUM - Today, news-publisher-backed legislative proposals often called “ancillary copyrights” took major blows in both Brussels and Austria. Also referred to as a ‘snippet levy’, ...
  • Blog

CCIA, Tech Industry Cautiously Welcome Council’s Position On Data Protection

Brussels – The Computer & Communications Industry Association joined others in the Industry Coalition for Data Protection in a statement expressing optimism ahead of the adoption this week of th...